The recent dramatic events in Iraq were both surprising and predictable. Their roots run into the recent past – namely, the invasion by U.S. troops and their allies of this country and the ensuing occupation. During the occupation of the country, according to some estimates, nearly half a million people were killed, and several million refugees and displaced persons were created.
What was wrong with the US policy in Iraq?
Most serious analysts now agree that the three major errors committed by the Americans in Iraq were the banning of the Ba’ath Party [an authoritarian political movement based on the ideology of Arab socialism – Editor’s note], the dissolution of the Iraqi Army and the elimination of the state bureaucratic apparatus.
It is understandable why this was done – there were fears that these structures were incapable of transformation and that, moreover, if allowed to remain, in the future they would be able to carry out revenge operations and restore the old social and state system.
Calculated crystals, kept here for reference
DFT (PBE) results for a geometry-optimized PaTaPd2O8 structure.

Computed properties:
**Calculated total energy**: -7.65 eV per atom

Cell: 6.758 6.758 6.984 Å, 90.00 90.00 90.00°
Space group I-4m2 (No. 119)
Inequivalent atoms, fractional coordinates:
Pa  0.000  0.000  0.000 x2
Ta  0.000  0.500  0.250 x2
Pd  0.000  0.000  0.500 x2
Pd  0.000  0.500  0.750 x2
O  0.000  0.197  0.281 x8
O  0.000  0.330  0.986 x8


(1)
# NbNi8Rh2, optimized geometry, DFT PBE-GGA
# * total magnetic moment: 7.19 μB per cell
# * formation enthalpy at 0 K: 54 meV per atom
data_NbNi8Rh2
_space_group_name_H-M_alt 'I m m m'
_space_group_IT_number 71
_space_group_name_Hall '-I 2 2'
_cell_length_a 4.367
_cell_length_b 4.998
_cell_length_c 12.572
_cell_angle_alpha 90.00
_cell_angle_beta 90.00
_cell_angle_gamma 90.00
loop_
_atom_site_label
_atom_site_type_symbol
_atom_site_fract_x
_atom_site_fract_y
_atom_site_fract_z
Nb1 Nb 0.000 0.000 0.000
Ni1 Ni 0.000 0.000 0.198
Ni2 Ni 0.000 0.266 0.365
Ni3 Ni 0.250 0.000 0.500
Rh1 Rh 0.000 0.500 0.181

=====

(2)
# CeErLuTi, optimized geometry, DFT PBE-GGA
# * total magnetic moment: 8.41 μB per cell
# * formation enthalpy at 0 K: 240 meV per atom
data_CeErLuTi
_space_group_name_H-M_alt 'F -4 3 m'
_space_group_IT_number 216
_space_group_name_Hall 'F -4 2 3'
_cell_length_a 7.530
_cell_length_b 7.530
_cell_length_c 7.530
_cell_angle_alpha 90.00
_cell_angle_beta 90.00
_cell_angle_gamma 90.00
loop_
_atom_site_label
_atom_site_type_symbol
_atom_site_fract_x
_atom_site_fract_y
_atom_site_fract_z
Ce1 Ce 0.000 0.000 0.000
Er1 Er 0.000 0.000 0.500
Lu1 Lu 0.250 0.250 0.250
Ti1 Ti 0.250 0.250 0.750

=====

(3)
# Rb3TmAl2O6, optimized geometry, DFT PBE-GGA
# * raw formation energy: -230.1 kJ/mol of atoms
# * total magnetic moment: 0.00 μB per cell
data_Rb3TmAl2O6
_space_group_name_H-M_alt 'P -3 m 1'
_space_group_IT_number 164
_space_group_name_Hall '-P 3 2"'
_cell_length_a 6.0629
_cell_length_b 6.0629
_cell_length_c 7.3274
_cell_angle_alpha 90.00
_cell_angle_beta 90.00
_cell_angle_gamma 120.00
loop_
_atom_site_label
_atom_site_type_symbol
_atom_site_fract_x
_atom_site_fract_y
_atom_site_fract_z
Rb1 Rb 0.0000 0.0000 0.0000
Rb2 Rb 0.3333 0.6667 0.7533
Tm1 Tm 0.0000 0.0000 0.5000
Al1 Al 0.3333 0.6667 0.3114
O1 O 0.1705 0.3409 0.3104

=====

Question: Among the records above, which one has the highest total magnetic moment?
Answer: CeErLuTi


Entry 1:
VASP calculation (GGA+U) on a relaxed VSiN2O crystal.

Unit cell a=4.041 b=4.041 c=3.230 alpha=90.00 beta=90.00 gamma=90.00
Element x y z (fractional)
V 0.000 0.000 0.000
Si 0.500 0.500 0.000
N 0.000 0.500 0.500
N 0.500 0.000 0.500
O 0.500 0.500 0.500

Summary:
ρ   3.87 Mg/m³
VASP energy   -5.4793 eV/atom
V   53 Å³/cell
Crystal system   tetragonal

***

Entry 2:
VASP calculation (GGA+U) on a relaxed VSiN2O crystal.

Unit cell a=3.594 b=3.594 c=3.527 alpha=90.00 beta=90.00 gamma=90.00
Element x y z (fractional)
V 0.000 0.000 0.000
Si 0.500 0.500 0.500
N 0.000 0.500 0.500
N 0.500 0.000 0.500
The text goes on
The main state institutions were effectively eliminated. These were the pillars of the secular nationalist regime – with all the hideousness of the brutal dictatorship of Saddam Hussein, who brought grief to a huge number of his own people as well as citizens of neighboring countries – Iran and Kuwait.
As a result, a power vacuum was formed in Iraq that the new rulers have failed to fill. This doesn’t even take into account the explosive potential of a growing mass of highly qualified specialists left with nowhere to turn.
In addition, an equally serious mistake of the U.S. was its focus on using the religious factor. Of course, the Shiites were part of a discriminated minority, and needed to have lawful and fair rehabilitation. However, this was not done by promoting a kind of national consensus, but by relying on religious Shiite parties – the Islamic Call Party (Al-Dawa) and the Supreme Council for the Islamic Revolution.
The “Shiite project” for Washington was in fact a religious project, which could not but lead to a sharp rise in hostilities between different sects in Islam. Meanwhile, the no less fair rehabilitation of the Kurds has led to the creation of Kurdish quasi-statehood.
As a result, social fragmentation increased, and the task of nation building in Iraq and the establishment of a full-fledged version of a nation-state began to look quite illusory. The “sectarian genie” was let out of the bottle, and the Americans condemned the country to civil strife.
Looking back at past history, the Iraqi Army under Saddam Hussein was one of the most efficient in the region. However, its commanders preferred not to provide resistance against superior American forces, which would have been disastrous for the Army and for the country as a whole, and thus ensured that the Iraqi capital would not be destroyed. Among both military and civilian officials, there was a huge mass of people who belonged to the “silent opposition” to the dictator, and faulted him with all the troubles that had befallen Iraq. The Army was tired of two bloody wars waged by Saddam against Iran and Kuwait.
According to one of the leading American experts on the region, Anthony Cordesman, the United States should learn from the hard lessons of waging wars in Iraq and Afghanistan, especially if they intend to conduct such wars in the future. In the list of recommendations given by the expert is the following bit of intriguing advice – “Never fall in love with the mission.” However, it seems that Russia’s Western partners have not yet been able to overcome this illness.
Will ISIS provoke the U.S. to hit Iraq once again?
The captures last week of the second largest city of Iraq – Mosul, and towns in the Saladin Province, were in the first place carried out by the fighters of the most radical Islamist terrorist forces in the region – long affiliated with al-Qaeda group – the Islamic State of Iraq and Greater Syria (ISIS).
The very name tells about the essence of this Islamist ISIS project – the creation of an Islamic state on the territory that includes Iraq, Syria, Lebanon, Jordan and Palestine. In the region, it is believed that this group is composed of from seven to ten thousand jihadists, hardened by the fighting in Syria, cruel and ruthless, while surpassing their opponents at least by the fact that they are willing to die for their cause.
They receive generous financial support from shadow networks, mainly from countries of the Arabian Peninsula. Among them, there are many people from many countries of the region, as well as from Europe, America and Eurasia. After establishing their control over Raqqa, a city in northern Syria, they undertook mass executions of the unwanted, and imposed on this territory the strict observance of Sharia Law in its most rigid interpretation. Streams of refugees rushed from Mosul.
However, we must not forget that the ISIS troops invading Mosul were not alone – people cooperating with them also accompanied them. Thanks to the coincidence of tactical goals, these are representatives of other groups, including supporters of the former regime.
In fact, what is being formed today is the prototype of a cross-border Islamist state – for now on the territories of Iraq and part of Syria – as the regions seized by the militants are adjacent to one another, thus forming a coherent whole. Already patrolling the area of ??Raqqa can be seen military Hummers, captured by terrorists in Mosul and sent into Syria. It is clear that being sent there are also weapons abandoned by the Iraqi Army in the field of battle. Now it is obvious that the civil war in Syria will become even fiercer.
The ISIS victory has inspired the entire international extremist underground, which undoubtedly increases the threat of spreading of this cancer of terrorism beyond the region. It is clear that the next target of those who came to fight under the banner of the ISIS from afar will be the regimes of those states where they came from.
Today in the West, all are blaming the government of Iraqi Prime Minister Nuri al-Maliki, accusing him of “sectarian politics” and dictatorial methods of governing. Some are even talking about betrayal in the ranks of the Iraqi Army. Nevertheless, already coming to its aid or replacement are units made up of Shiite, and a considerable number of Sunni, volunteers.
While no one can say whether ISIS troops will push on to attack Baghdad (although there are reports they have already started preparing for a blockade of the capital, to be further followed by an assault), and further to the south – to the main Shiite shrines of Karbala and Najaf. The central government will mobilize all resources to defend Baghdad, while the threat to Shiite shrines will mobilize Shiites en masse for the national defense.
Will the U.S. intervene in this situation? Will they coordinate their activities with Iran and, in general, how would Americans react to a possible Iranian intervention? It seems that U.S. President Barack Obama does not really desire any new military campaigns. It can be assumed that, in case of further gains being made by radicals, Washington may undertake pinpoint air strikes against the concentrations of their forces.
However, this requires not only a formal appeal from the Iraqi government, but also precise intelligence (here the main role will be performed by drones) in order to avoid civilian casualties, as any civilian deaths would only mobilize new supporters for the ISIS.
As many have pointed out, of all the places in the Arab World where the U.S. has acted to topple governments that existed for many years, direct U.S. and Western intervention has led to stabilization and the achievement of positive results (in terms of development), only in two territories. These are Tunisia and Iraqi Kurdistan. Iraq has apparently not been so lucky.